
Edinburgh Economic Declaration
London, UK, 1997
Today’s globalised world poses both opportunities and challenges. Expanding trade and investment flows, driven by new technologies and the spread of market forces, have emerged as engines of growth. At the same time, not all countries have benefited equally from the globalisation of the world economy, and a significant number are threatened with marginalisation. Globalisation therefore needs to be carefully managed to meet the risks inherent in the process.
We believe that world peace, security and social stability cannot be achieved in conditions of deep poverty and growing inequality. Special measures are needed to correct this, and in particular to help the integration of countries, especially small states and the Least Developed Countries, in the global economy and address the uneven development that threatens many countries. To redress these problems, we believe the following broad principled approaches should be pursued:
- the world economy should be geared towards promoting universal growth and prosperity for all;
- there must be effective participation by all countries in economic decision-making in key international fora;
- the removal of obstacles that prevent developing countries playing their full part in shaping the evolution of the global economy; and
- international regimes affecting economic relations among nations should provide symmetrical benefits for all.
We also believe that commitment to market principles, openness to international trade and investment, the development of human and physical resources, gender equality, and good governance and political stability remain major components of economic and social progress; and that wealth creation requires partnerships between governments and the private sector. The Commonwealth, with its shared traditions and global reach, is uniquely placed to play a key role in promoting shared prosperity amongst its members.
We welcome the progress made in recent years in dismantling trade barriers and establishing a rule-based international trading system. However, significant barriers to trade in goods and services remain, and the benefits of the expansion of world trade are still unevenly shared. We have therefore resolved to:
- support expansion of duty-free market access with flexible rules of origin for the exports of the Least Developed Countries; work for a successor arrangement to the Lomé Convention which, without prejudice to the outcome, gives the ACP countries, particularly small states, adequate transitional arrangements; and in particular, encourage the EU and WTO members to accommodate the legitimate interests of the ACP banana producers and facilitate the diversification of their economies;
- strengthen the multilateral trading system within the framework of the WTO, in order to prevent regional arrangements from becoming exclusive trading blocs and provide for the greatest flow of international trade on the basis of agreed rules which are fair and equitable; and support the full implementation of the Uruguay Round Agreements;
- oppose the introduction of new non-tariff barriers and the use of unilateral actions and bilateral pressures which run counter to the spirit of the WTO;
- maintain the momentum towards freer trade through multilateral negotiations, as outlined in the built-in agenda and other issues under discussion in the WTO, including progress on agriculture and financial and other services, taking into account the interests of all countries at different stages of development; and
- continue to support regional arrangements, consistent with multilateral liberalisation under the WTO, which promote the economic growth of their members.
Specifically we have decided to:
- establish a Trade and Investment Access Facility under the Commonwealth umbrella to assist developing countries with the process of adjusting to, and taking advantage of, the opportunities of globalisation. The new Facility will provide technical assistance to help countries identify and manage the potential economic and social impacts of trade in goods and services and investment liberalisation; identify new sources of revenue and market opportunities; and help countries fulfil WTO requirements. The Facility will be co-ordinated with the proposed WTO/UNCTAD/ITC integrated framework for trade-related technical assistance;
- explore the scope for deepening trade relationships among Commonwealth members, and therefore request the Secretariat to report to us, before the 1999 CHOGM, on the scope and possible systems and mechanisms for improving trade among members of the Commonwealth, in ways which are consistent with the provisions of the WTO and regional trading arrangements;
- launch a Commonwealth action programme to remove administrative obstacles to trade by simplifying and harmonising customs procedures, disseminating information and eliminating bureaucratic and technical hurdles;
- examine the growing importance of ‘electronic commerce’ in trade and the developmental implications of the use of cyberspace for commercial and financial transactions; and
- promote Commonwealth Export Training Centres for management training in exporting and other trade-related skills.
We welcome the recommendations of the first ever Commonwealth Business Forum held in London on 22-23 October 1997. We believe that the Forum can be an important link between the private and public sectors and foster vibrant private sector business links. It should continue to meet every two years. We are also arranging to set up a Business Council, under Lord Cairns and Mr Cyril Ramaphosa, made up of a small group of major private sector leaders from different regions of the Commonwealth, as well as other mechanisms, in consultation with the Commonwealth Secretary-General, to encourage greater private sector involvement in the promotion of trade and investment. In this context, we also agree to support and strengthen the work of the Commonwealth Partnership for Technology Management (CPTM).
We believe that investment flows can bring substantial benefits, and that sound macroeconomic policies and financial systems, strong regulatory and supervisory frameworks and political stability are essential in encouraging inward flows. At the same time, we
Records of molecules, kept here for reference
- - -
{
  "formula": "C38H65N7O14S2",
  "method": "wB97M-V/def2-TZVPD",
  "e_tot_ha": -3719.9876,
  "total_charge": 0,
  "smiles": "C[C@@H](COC(=O)CSc1ccc2c(c1)C(=O)C=C(O)C2=O)OC(=O)CS.CNC(C)=O.CNC(C)=O.CNC(C)=O.CNC(C)=O.CNC(C)=O.CNC(C)=O.CNC(C)=O",
  "species": ["C", "C", "C", "O", "C", "O", "C", "S", "C", "C", "C", "C", "C", "C", "C", "O", "C", "C", "O", "C", "O", "O", "C", "O", "C", "S", "H", "H", "H", "H", "H", "H", "H", "H", "H", "H", "H", "H", "H", "H", "H", "H", "C", "N", "C", "C", "O", "H", "H", "H", "H", "H", "H", "H", "C", "N", "C", "C", "O", "H", "H", "H", "H", "H", "H", "H", "C", "N", "C", "C", "O", "H", "H", "H", "H", "H", "H", "H", "C", "N", "C", "C", "O", "H", "H", "H", "H", "H", "H", "H", "C", "N", "C", "C", "O", "H", "H", "H", "H", "H", "H", "H", "C", "N", "C", "C", "O", "H", "H", "H", "H", "H", "H", "H", "C", "N", "C", "C", "O", "H", "H", "H", "H", "H", "H", "H"],
- - -
recognise that volatility in such flows can greatly complicate economic management. They also remain concentrated in a few regions and countries. We agree to:
- encourage investment flows by establishing open and transparent investment regimes for business activity and by simplifying bureaucratic procedures and regulations;
- encourage capital exporting countries, where it is prudent, to consider relaxing restrictions on institutional investors to enable them to take advantage of portfolio diversification opportunities in emerging and new markets;
- support the development of regional and multilateral arrangements and infrastructure that take into account the realities of developing countries, and that can help to facilitate private capital flows;
- study the lessons to be learned from recent developments in currency markets and in particular on how countries can be protected from the destabilising effects of market volatility, including those resulting from speculative activities, and how the effectiveness of existing early warning systems can be improved; and
== Records of molecules, as found in the file ==
+++
## P
Density functional theory data (ωB97M-V with the def2-TZVPD basis set) for C13H24N5O9PPdS as an isolated structure.

Orbital gap (alpha / beta)   9.5 / 5.2 eV
<S²>   6.019
LUMO energy (alpha / beta)   0.24 / -4.05 eV
Highest occupied orbital energy (alpha / beta)   -9.25 / -9.23 eV

Geometry as ORCA input:
```
! wB97M-V def2-TZVPD RIJCOSX def2/J DEFGRID3
* xyz 0 5
Pd 2.75 -1.74 -0.84
O 2.16 -2.20 3.05
S 2.04 -1.70 1.73
O 0.94 -0.57 1.78
O 3.24 -1.04 1.18
O 1.55 -2.67 0.73
O 6.63 -1.91 -0.86
N 5.43 -1.88 -0.97
O 4.70 -2.85 -0.60
O 4.82 -0.88 -1.45
O 1.25 -0.06 -0.65
P 0.12 -0.01 0.34
N -0.97 0.93 -1.04
C -2.38 1.20 -0.96
C -2.77 1.70 -2.36
C -1.49 2.40 -2.84
C -0.38 1.58 -2.18
N -0.13 1.48 1.12
C 1.06 2.35 1.20
C 0.96 3.02 2.57
C -0.53 2.95 2.91
C -0.95 1.60 2.32
N -1.09 -1.14 0.38
C -1.26 -2.02 -0.79
C -1.58 -3.38 -0.17
C -2.38 -3.00 1.08
C -1.63 -1.77 1.60
H -2.56 1.99 -0.22
H -2.92 0.32 -0.63
H -3.63 2.36 -2.33
H -3.01 0.85 -3.00
H -1.47 3.43 -2.48
H -1.40 2.41 -3.92
H 0.49 2.18 -1.87
H 0.03 0.81 -2.84
H 1.02 3.10 0.39
H 1.98 1.78 1.08
H 1.33 4.04 2.55
H 1.54 2.46 3.30
H -1.08 3.76 2.42
H -0.73 3.00 3.98
H -2.01 1.56 2.07
H -0.73 0.79 3.02
H -0.35 -2.04 -1.40
H -2.09 -1.67 -1.41
H -0.65 -3.87 0.12
H -2.13 -4.02 -0.85
H -2.41 -3.79 1.82
H -3.40 -2.74 0.81
H -0.83 -2.05 2.29
H -2.30 -1.07 2.11
O 2.61 -0.69 -4.74
C 2.42 -1.31 -3.77
N 2.18 -1.98 -2.78
*
```

***

## Q
Density functional theory data (ωB97M-V with the def2-TZVPD basis set) for C13H24N5O9PPdS as an isolated structure.

Orbital gap (alpha / beta)   9.3 / 6.3 eV
<S²>   6.018
LUMO energy (alpha / beta)   0.03 / -3.35 eV
Highest occupied orbital energy (alpha / beta)   -9.26 / -9.63 eV

Geometry as ORCA input:
```
! wB97M-V def2-TZVPD RIJCOSX def2/J DEFGRID3
* xyz 0 5
Pd 2.62 -1.73 -1.34
O -0.55 -2.52 -0.18
S 0.40 -3.37 -0.95
O -0.12 -4.68 -1.18
O 0.74 -2.62 -2.22
O 1.75 -3.39 -0.24
O 3.96 -2.72 -2.87
N 3.74 -1.81 -3.70
O 4.23 -1.76 -4.79
O 2.93 -0.88 -3.29
O 1.40 -0.17 -0.31
P 0.15 0.29 0.31
N -0.03 1.90 0.13
C 1.13 2.72 -0.29
C 0.55 4.12 -0.39
C -0.90 3.87 -0.81
C -1.28 2.67 0.05
N -1.20 -0.33 -0.62
C -1.17 -0.30 -2.07
C -2.61 -0.59 -2.48
C -3.15 -1.42 -1.31
C -2.48 -0.77 -0.11
N -0.08 -0.16 1.83
C -0.80 0.61 2.86
C -0.37 -0.04 4.17
C -0.11 -1.49 3.77
C 0.59 -1.36 2.42
H 1.51 2.37 -1.26
H 1.95 2.64 0.43
H 1.10 4.74 -1.10
H 0.58 4.61 0.58
H -0.95 3.61 -1.87
H -1.56 4.72 -0.64
H -2.08 2.08 -0.41
H -1.62 2.99 1.04
H -0.47 -1.09 -2.38
H -0.76 0.65 -2.41
H -2.65 -1.12 -3.43
H -3.18 0.34 -2.59
H -2.80 -2.45 -1.38
H -4.23 -1.41 -1.24
H -2.32 -1.42 0.75
H -3.04 0.12 0.22
H -1.89 0.51 2.71
H -0.54 1.67 2.80
H -1.12 0.08 4.94
H 0.56 0.42 4.52
H -1.06 -2.03 3.64
H 0.49 -2.04 4.49
H 0.47 -2.22 1.77
H 1.65 -1.14 2.55
O 4.26 0.60 1.46
C 4.20 -0.24 0.63
N 4.16 -1.10 -0.21
*
```

***

The most stable of them is Q.

***

## P
Density functional theory data (ωB97M-V with the def2-TZVPD basis set) for a 4-piece molecular cluster, H7O4 overall.

Orbital gap   8.5 eV
LUMO energy   4.42 eV
+++
== The page goes on ==
- support strengthening of global and regional mechanisms to help countries handle capital market volatility.
Specifically we have decided to:
- endorse the recommendations of the Commonwealth working group on the role of national and international policies in promoting private capital flows, and call for the rapid finalisation of a Commonwealth Code of Good Practice for national policies that attract and sustain private capital flows;
- welcome the launch of the Africa Fund, the Kula Fund for the Pacific, and the South Asia Regional Fund under the aegis of the Commonwealth Private Investment Initiative (CPII); and call for the extension of CPII to embrace additional regions and sectors;
## Someone pasted data records at this point
********
1.
This record from the OMol25 dataset describes a molecular structure, C25H25Br39N3O4PS. The level of theory is the ωB97M-V functional and the def2-TZVPD basis.

Geometry as XYZ:
```
98
Properties=species:S:1:pos:R:3:forces:R:3
Br -10.32475 -2.53405 1.37804 0.02 -0.09 0.04
Br -7.29676 -3.18269 2.11469 0.02 -0.01 -0.06
Br -11.85757 3.64228 2.85281 0.00 0.06 0.02
Br -11.69213 -8.82592 4.05507 0.06 0.00 -0.03
Br 1.90210 -7.39067 4.08125 -0.03 0.06 -0.01
Br -8.62358 -8.21081 4.63001 -0.03 -0.04 -0.01
Br 6.31572 -1.61813 4.71830 0.16 -0.04 0.01
Br 5.30538 4.67746 -9.67871 -0.05 -0.05 -0.01
Br 4.70629 2.28924 -11.69778 -0.01 0.17 -0.10
Br 0.36041 -0.92524 -0.72982 -0.09 -0.64 0.25
Br -9.45323 -5.52782 2.05405 0.04 0.07 0.02
Br 9.52424 -1.49082 -1.80062 0.02 0.00 0.06
Br 0.60007 4.14505 -2.02267 0.28 3.60 -1.41
Br -9.04804 0.80902 2.55928 0.05 0.05 0.05
Br -9.42736 -10.30639 2.37218 -0.02 0.05 0.04
Br 1.58095 -4.30108 4.79178 -0.06 -0.08 -0.03
Br 1.05225 -1.11783 -8.16053 0.18 -0.05 -0.08
Br 10.47876 -3.66158 0.32621 0.05 -0.02 -0.13
Br -12.59821 3.76589 5.94855 -0.01 0.00 -0.05
Br -0.35814 7.14216 -2.80085 0.11 -0.07 0.01
Br -11.61007 0.13881 4.32257 0.02 -0.13 0.02
Br 11.21918 -0.59611 0.74844 -0.02 -0.04 -0.02
Br -2.73473 0.87346 -3.28782 0.06 -0.05 -0.03
Br -2.46822 -1.83084 0.43711 0.04 0.04 -0.04
Br 2.71560 0.70259 -6.13467 0.03 -0.03 -0.03
Br 9.35132 -1.04698 5.50250 -0.03 -0.01 -0.06
Br 3.89727 0.03575 -9.01526 -0.08 -0.07 0.18
Br 2.67108 6.58935 -1.94269 -0.05 -0.05 0.00
Br -0.92822 -5.97556 3.72083 0.05 -0.01 0.04
Br -14.90713 3.82582 3.75171 0.06 -0.01 0.02
Br -6.90039 -4.41976 -1.88310 0.02 -0.02 -0.04
Br -4.51099 -2.69520 -3.10473 -0.04 -0.02 0.00
Br -0.92860 -1.64490 -4.05486 -0.10 0.00 -0.21
Br -7.10161 -1.24241 -1.95257 0.02 -0.06 0.01
Br 2.33698 3.55222 -9.95991 0.02 0.03 -0.03
Br -1.15106 0.81849 -6.05780 -0.21 0.07 0.08
Br 8.65474 -3.29008 3.35135 -0.02 0.13 0.07
Br -8.76259 -1.02220 5.15461 -0.04 0.03 -0.04
Br 0.22774 -2.95155 1.72864 -0.05 0.11 -0.08
S -3.10883 2.11057 0.76207 0.09 0.07 -0.15
P -1.44372 1.99504 1.72267 -1.54 0.38 -0.69
O -1.37468 0.66329 2.58429 0.82 0.32 0.37
O -1.24526 3.22459 2.73568 0.57 -0.43 -0.12
O 6.04242 3.64900 2.41380 0.15 -0.34 0.68
O 5.55625 0.73240 2.67088 -0.83 0.12 -0.06
N 0.89203 1.93090 -1.61683 0.10 -2.15 2.52
N 1.18163 2.04352 1.26528 -0.14 0.06 -0.32
N 6.01681 2.01278 0.75782 -0.28 -0.05 0.24
C 10.88764 -1.99142 -0.53666 -0.01 0.03 0.04
C 6.23736 3.35125 1.27519 0.22 0.81 -0.18
C 2.10609 1.92182 -0.95589 0.64 -0.51 -1.17
C 2.25520 2.00452 0.43112 0.24 0.01 0.37
C 4.01347 3.87515 -10.85692 0.09 -0.04 -0.02
C -9.90263 -9.53516 4.07078 0.00 -0.01 0.01
C 4.66993 1.95842 0.23946 -0.40 0.06 -0.96
C -5.92605 -2.75947 -1.80867 0.06 0.08 0.10
C -9.70974 0.43576 4.32848 -0.02 0.05 -0.01
C 3.54348 2.03431 1.00681 0.36 0.06 0.60
C 2.30412 0.33316 -7.98348 -0.04 -0.09 0.04
C -13.09158 4.31182 4.16808 0.02 0.00 -0.02
C -8.91477 -3.84022 1.30238 -0.09 0.00 -0.07
C -0.10959 1.98098 -0.75652 -0.61 -0.59 -0.62
********
## End of the data records
- launch a Commonwealth investment promotion programme which will: help establish enabling environments for attracting private investment flows; encourage the creation of new mechanisms for risk insurance and guarantees; provide assistance for strengthening supervisory and regulatory frameworks; and improve the flow of information on investment opportunities; and
- encourage ‘smart partnerships’ involving the private and public sectors.
We welcome the improving growth prospects in many parts of the developing world, including evidence of recovery in Sub-Saharan Africa. At the same time, we remain concerned at the persistence of extreme poverty in many countries and the lack of capacity to reduce it. We have therefore agreed to:
work to halve the proportion of people living in extreme poverty by the year 2015;
- seek to reverse the decline in Official Development Assistance (ODA) flows, recognising the role of ODA as an essential instrument of partnership for development and poverty reduction in developing countries, particularly the Least Developed Countries and small states, and for helping to create the conditions for increased trade and investment, including skills and infrastructure development;
- work towards a comprehensive solution of the debt problem, and pursue vigorously the rapid implementation of the Highly Indebted Poor Countries (HIPC) Initiative, in line with the Mauritius Mandate, which has the aim of enabling HIPC countries to have embarked by the year 2000 on securing a sustainable exit from their debt burden; as well as consider extending such relief to other developing countries, including small states, in similar circumstances; and
- promote the role of micro-credit schemes in reducing poverty through increased assistance from the international community.
We welcome the Report of the Chairman of the Commonwealth Ministerial Group on Small States and its recommendations for action based on the Commonwealth Report, A Future for Small States: Overcoming Vulnerability. In particular, we encourage international financial institutions to review their graduation policies, consider broader criteria covering the special vulnerabilities of their smaller members, and establish a task force to address the concerns of small states. We endorse the recommendation to set up a small ministerial group to discuss small states’ concerns with major multilateral agencies and to report to governments on the outcome as soon as possible.
We underscore the importance of good governance including increased openness in economic decision-making and the elimination of corruption through greater transparency, accountability and the application of the rule of law in economic, financial and other spheres of activity. We endorse the request by our Finance Ministers to the Commonwealth Secretary-General to establish an expert group to work on these issues.
We have a shared interest in protecting our environment, a global resource in which all countries have a stake. The costs of protecting it should be borne in accordance with shared and differentiated responsibilities. It is therefore incumbent on the global community to strengthen co-operation to achieve sustainable development, so that we can protect our planet for future generations. In particular, we look to a successful outcome at the Kyoto Conference of Parties to the UN Convention on Climate Change, involving realistic and achievable goals, significant reductions in greenhouse gas emissions and recognition that we all need to play a role.
We have therefore agreed to:
- endorse the Programme for the Further Implementation of Agenda 21 as agreed by this year’s UN General Assembly Special Session, particularly in respect of freshwater, forest resources and the transfer of environmentally sound technologies to developing countries. We recognise that new and additional resources will
- be needed to implement the programmes and will use our best endeavours to provide these;
- underline the importance of a successful outcome at Kyoto, with all countries playing their part within the Berlin Mandate, and with developed countries pursuing vigorously an outcome that would produce significant reductions in their greenhouse gas emissions through the adoption of a protocol or other legal instrument;
- call on the Kyoto Conference to recognise that, after Kyoto, all countries will need to play their part by pursuing policies that would result in significant reductions of greenhouse gas emissions if we are to solve a global problem that affects us all;
- call for agreement at Kyoto to arrangements to monitor the reduction of emissions regularly;
- initiate action in the international community to strengthen disaster relief response and mechanisms for the provision of urgent and adequate assistance to small states that suffer the effects of natural disasters which are increasing in frequency and magnitude; and
- welcome the contribution of the Iwokrama International Rain Forest Programme in Guyana to the implementation of the Rio Agreements on forests, biodiversity and climate change, and agree to use our best endeavours to increase resources to sustain the Programme and catalyse further international funding.
- In pursuance of these commitments, we agree to enhance the Commonwealth’s role in building consensus on global economic issues and on an equitable structuring of international economic relations.
- We also agree to sustain and where possible increase bilateral assistance among our members; and to ensure the flow of resources to the Secretariat and its various Funds, especially the Commonwealth Fund for Technical Co-operation (CFTC); and to the Commonwealth Foundation, Commonwealth of Learning (COL) and the CPTM.
- We believe the Commonwealth can play a dynamic role in promoting trade and investment so as to enhance prosperity, accelerate economic growth and development and advance the eradication of poverty in the 21st century. We plan to pursue this with vigour.
Issued at the Commonwealth Heads of Government Meeting, Edinburgh, United Kingdom, 24-27 October 1997.